[Assignment]
Duplicate only the lines underneath with the word "CARTESIAN" in them.

[Excerpt]
┌──
# 1
Computed, not measured: C34H39ClMgN4O2P2 as an isolated structure in a non-equilibrium geometry, with wB97M-V/def2-TZVPD.

Calculated values
frontier orbital gap	7.6364	eV
LUMO level	0.010	Ha
total charge	0

Last column: Löwdin charge in e.
CARTESIAN COORDINATES (ANGSTROEM)
H: -4.537579 -3.740634 2.588355  0.093
H: 0.596051 3.763165 -4.990116  0.105
O: -0.282884 -1.013577 3.468477  -0.112
Cl: -1.900493 -0.741403 9.995122  0.673
P: -1.218183 -0.995759 0.399783  1.023
H: 1.764335 -1.667725 -1.675861  0.078
H: 2.699387 1.713332 2.649484  -0.045
H: -2.210220 1.618162 5.744685  0.120
C: -0.887848 -0.092131 4.122780  -0.583
H: 0.008378 -2.041595 5.707992  0.122
C: 4.592621 -2.430173 1.945488  -0.078
C: -0.600480 -1.331201 6.261900  -0.004
C: -1.840193 1.775095 0.215806  -0.116
C: 3.863665 0.726215 -1.313188  -0.126
C: 1.013058 0.531688 -4.180679  -0.125
N: 2.813567 0.929626 -0.413874  -0.237
H: 5.392238 2.105088 -2.100345  0.092
H: -2.842957 0.090636 -4.109567  0.100
H: 1.586536 -0.101413 -3.500701  0.073
C: 2.768490 2.291356 -0.078485  -0.132
C: -4.127994 -3.135933 1.795286  -0.085
H: 1.520030 2.402672 -3.304700  0.101
C: 1.006618 1.868765 -4.106443  -0.085
H: 0.608979 0.315542 -6.252477  0.098
O: -1.181244 1.025609 3.557739  -0.101
H: -2.500141 3.693276 -0.659309  0.103
P: 1.758781 -0.260233 0.251535  0.998
H: -3.920732 -1.621651 -1.186169  0.092
C: 4.513016 1.935446 -1.499522  -0.084
C: -0.311506 -1.757801 -0.955660  -0.332
H: -2.328285 -0.356850 -2.228527  0.074
C: -4.723196 -2.870117 0.509473  -0.079
C: 0.429247 -0.245243 -5.326081  -0.183
H: -1.595779 1.959512 1.264626  0.089
H: 3.853153 -0.332455 2.339311  0.090
H: 0.974243 -1.205278 -5.385749  0.114
C: 4.121102 -3.370431 0.978489  -0.087
H: 5.387929 -2.572532 2.654360  0.092
C: 3.813229 2.925880 -0.730826  -0.085
C: 0.555662 2.704763 -5.281429  -0.180
C: -0.813831 -1.467724 7.633655  -0.095
C: 1.020932 -1.012153 -1.199270  -0.383
H: -2.498817 2.531802 -4.434659  0.085
C: 3.104282 -2.756985 0.262915  -0.139
H: 1.273878 2.571299 -6.109142  0.119
C: -1.824528 1.791828 -4.856000  -0.117
C: -2.048594 0.622403 7.650790  -0.088
N: -1.823509 0.467219 -0.322451  -0.232
C: -2.368313 2.624697 -0.742265  -0.056
C: -1.137564 -0.239531 5.585015  -0.137
C: -2.911792 -2.487214 1.835601  -0.123
C: -1.083282 -0.568931 -5.240035  -0.176
C: 3.852252 -1.264323 1.795996  -0.104
H: 4.041781 3.978926 -0.668620  0.093
C: 1.814983 1.226316 3.091647  -0.249
N: -2.722503 -1.820375 0.609271  -0.237
H: -2.140615 -2.414477 2.588104  0.092
C: -2.723967 1.836498 -1.874313  -0.071
H: -0.899687 -1.789141 -1.885701  0.077
C: -0.859087 2.399997 -5.832887  -0.183
H: -0.112086 -2.797514 -0.640165  0.098
Mg: 0.097311 0.616309 1.984623  0.453
C: -1.945134 0.486612 -4.599023  -0.139
H: 2.483423 -3.129615 -0.535618  0.089
H: -2.562173 1.390241 8.224333  0.103
C: -3.845595 -2.052142 -0.197240  -0.114
H: -1.219247 -1.516302 -4.693875  0.100
H: 2.131837 0.271656 3.549392  -0.030
H: -0.777199 1.737413 -6.704525  0.104
C: -1.591953 -0.524953 8.317392  -0.682
C: -1.843412 0.743385 6.272340  -0.004
N: 2.932524 -1.462162 0.752735  -0.214
H: 4.037488 -0.247356 -1.748259  0.110
H: -1.298311 3.354638 -6.161583  0.111
H: 4.489981 -4.367151 0.819474  0.090
H: 1.400771 1.891436 3.877134  -0.022
C: -2.333879 0.528820 -1.610134  -0.147
H: 2.004482 2.648687 0.595952  0.089
H: -3.230143 2.182122 -2.761078  0.081
H: -1.458789 -0.746457 -6.269117  0.122
H: -5.671699 -3.253875 0.168820  0.091
H: -0.396436 -2.306409 8.179517  0.102
H: 0.825601 -0.169228 -1.879709  0.056

Atoms 1-2, force components in eV/Å:
H 0.0 0.1 0.0
H 0.1 -0.2 -0.1


# 2
Computed, not measured: C34H39MnN5O3P2S as an isolated structure in a non-equilibrium geometry, with wB97M-V/def2-TZVPD.

Calculated values
frontier orbital gap (alpha / beta)	6.7650 / 6.3966	eV
multiplicity	6
LUMO level (alpha / beta)	-0.050 / -0.064	Ha
total charge	0

Last column: Löwdin charge in e.
CARTESIAN COORDINATES (ANGSTROEM)
O: 4.691795 -3.871715 3.209029  -0.295
└──

[Worked solution]
CARTESIAN COORDINATES (ANGSTROEM)
CARTESIAN COORDINATES (ANGSTROEM)